File.
/*
The following is a calculated powder diffraction line list of KFeBiWO6. It was derived from a cell relaxed with GGA+U, using Cu Kα (weighted mean of Kα1 and Kα2).
Kinematic intensities with the Lorentz-polarization factor, no thermal factor.

Crystal structure
a = 8.005 Å, b = 8.005 Å, c = 8.005 Å
α = 90.00°, β = 90.00°, γ = 90.00°
Space group F-43m (No. 216)
Inequivalent atoms, fractional coordinates:
1 K 0.000 0.000 0.000
2 Fe 0.250 0.250 0.250
3 Bi 0.000 0.000 0.500
4 W 0.250 0.250 0.750
5 O 0.005 0.250 0.750

Most intense lines, 2θ = 15–90°, in order of rising 2θ:
2θ 19.21, rel. 45, hkl 1 1 1; 2θ 31.62, rel. 100, hkl 2 2 0; 2θ 37.26, rel. 27, hkl 3 1 1; 2θ 45.32, rel. 30, hkl 4 0 0; 2θ 49.65, rel. 12, hkl 3 3 1; 2θ 56.31, rel. 40, hkl 4 2 2; 2θ 60.06, rel. 10, hkl 5 1 1; 2θ 66.02, rel. 18, hkl 4 4 0; 2θ 69.47, rel. 10, hkl 5 3 1; 2θ 75.05, rel. 17, hkl 6 2 0

=====

(1)
The following is a computed XRD peak list of Ba3ZrCd2O8. It was derived from a crystal structure in Alexandria, relaxed with GGA-PBE, using λ = 1.5418 Å (Cu Kα).
No peak broadening, texture or thermal motion is included.

Top 10 peaks for 2θ from 15° to 90°, sorted by position:
d_spacing  I/Imax
3.178  79
3.045  100
2.372  15
2.199  42
1.863  14
1.783  30
1.758  20
1.589  12
1.523  16
1.373  13

Structural model:
Cell lengths 6.090, 6.090, 7.966 Å; angles 90.00, 90.00, 120.00 degrees
Fractional positions:
Ba1 0.000 0.000 0.000
Ba2 0.333 0.667 0.626
Ba3 0.667 0.333 0.374
Zr1 0.000 0.000 0.500
Cd1 0.333 0.667 0.193
Cd2 0.667 0.333 0.807
O1 0.159 0.318 0.341
O2 0.159 0.841 0.341
O3 0.318 0.159 0.659
O4 0.333 0.667 0.936
O5 0.667 0.333 0.064
O6 0.682 0.841 0.341
O7 0.841 0.159 0.659
O8 0.841 0.682 0.659

=====

(2)
The following is a computed XRD peak list of Ba3CdP3. It was derived from a crystal structure in Alexandria, relaxed with GGA-PBE, using λ = 1.5418 Å (Cu Kα).
No peak broadening, texture or thermal motion is included.

Top 10 peaks for 2θ from 15° to 90°, sorted by position:
d_spacing  I/Imax
3.890  100
3.667  39
3.441  17
3.346  61
3.329  31
3.161  30
2.397  45
2.392  45
2.358  59
1.817  20

Structural model:
Cell lengths 10.596, 10.596, 13.315 Å; angles 90.00, 90.00, 37.89 degrees
Fractional positions:
Ba1 0.019 0.631 0.132
Ba2 0.131 0.519 0.632
Ba3 0.181 0.819 0.851
Ba4 0.319 0.681 0.351
Ba5 0.369 0.981 0.132
Ba6 0.481 0.869 0.632
Ba7 0.519 0.131 0.368
Ba8 0.631 0.019 0.868
Ba9 0.681 0.319 0.649
Ba10 0.819 0.181 0.149
Ba11 0.869 0.481 0.368
Ba12 0.981 0.369 0.868
Cd1 0.084 0.084 0.500
Cd2 0.416 0.416 0.000
Cd3 0.584 0.584 0.000
Cd4 0.916 0.916 0.500
P1 0.049 0.629 0.380
P2 0.129 0.549 0.880
P3 0.219 0.781 0.605
P4 0.281 0.719 0.105
P5 0.371 0.951 0.380
P6 0.451 0.871 0.880
P7 0.549 0.129 0.120
P8 0.629 0.049 0.620
P9 0.719 0.281 0.895
P10 0.781 0.219 0.395
P11 0.871 0.451 0.120
P12 0.951 0.371 0.620

=====

(3)
The following is a computed XRD peak list of Ba2Cd2P. It was derived from a crystal structure in Alexandria, relaxed with GGA-PBE, using λ = 1.5418 Å (Cu Kα).
No peak broadening, texture or thermal motion is included.

Top 10 peaks for 2θ from 15° to 90°, sorted by position:
d_spacing  I/Imax
3.994  63
3.421  59
2.891  46
2.772  100
2.511  51
2.380  29
2.036  35
1.916  25
1.750  34
1.671  19

Structural model:
Cell lengths 10.660, 10.660, 10.660 Å; angles 157.98, 157.98, 31.34 degrees
Fractional positions:
Ba1 0.082 0.082 0.000
Ba2 0.918 0.918 0.000
Cd1 0.250 0.750 0.500
Cd2 0.750 0.250 0.500
P1 0.500 0.500 0.000

=====

(4)
The following is a computed XRD peak list of Ba2Cd5Pb. It was derived from a crystal structure in Alexandria, relaxed with GGA-PBE, using λ = 1.5418 Å (Cu Kα).
No peak broadening, texture or thermal motion is included.

Top 10 peaks for 2θ from 15° to 90°, sorted by position:
d_spacing  I/Imax
3.600  47
3.159  100
3.032  79
2.840  49
2.662  47
2.606  76
2.583  23
2.308  46
1.862  33
1.727  24

Structural model:
Cell lengths 9.676, 9.676, 10.332 Å; angles 90.00, 90.00, 148.75 degrees
Fractional positions:
*/

Assignment.
Now say how many lines of the material further above hold the word "atoms", as a bare number.

Written answer.
1